Military medals including the Victoria Cross

At today’s meeting, Graeme VK3CDO, gave a fascinating talk about military medals and ribbons.

Graeme, VK3CDO, first got interested in the subject of medals and ribbons when he was fairly young and served in the Air Training Corps in the Air Force. When he did his NCOs course he had to do organisations, administrations, drill and many other subjects. Part of this was about rank and the badges that go with it. Also medals were covered.

In talks to school kids, Graeme finds that they listen attentively and ask intelligent questions. One of the things he’s been trying to teach is how to wear medals handed down correctly on Anzac day. He cringes to see them worn upside down, at an angle or in the wrong order.

If you’re wearing your own medals, you wear them on the left hand side. There are four exceptions which are medals not awarded by the military that are worn on the right hand side. Foreign medals are worn on the right. Medals awarded by the French or Belgians are worn in the normal cluster as they were allied to the British forces.

The ribbon’s colours actually mean something – they’re not just a bunch of pretty colours. They have a meaning and they’re put there to tell a story. If you understand that story, you can put the medals into context.

## Molecular data, as found in the file
........
Entry 1:
Density functional theory data (wB97M-V/def2-TZVPD) for a molecular structure, C38H51F3N4O3PPt in a non-equilibrium geometry.

Each line ends with the Mulliken charge.
Geometry (Å):
1 C 3.395 1.930 -2.605  -1.151
2 C -3.120 1.190 -1.378  -0.935
3 H -1.551 -5.626 -0.395  0.286
4 Pt -0.462 -0.389 0.278  0.839
5 H 5.111 -3.785 2.063  0.442
6 C -0.480 -5.805 -0.301  -1.339
7 H 2.039 -2.541 -5.276  0.418
8 H -0.476 -3.240 1.980  -0.163
9 C -0.960 3.752 -1.265  -0.049
10 C -1.170 2.408 0.755  -0.707
11 H 0.589 0.149 2.885  0.075
12 H 1.977 0.836 3.725  0.591
13 H -3.578 0.015 5.944  0.432
14 C -0.558 4.849 -0.508  -0.984
15 H -0.310 -2.282 3.471  0.465
16 C -2.445 -2.878 -1.985  0.691
17 N -1.671 1.390 -1.418  1.140
18 H -2.124 -4.329 -3.543  0.291
19 H -2.755 2.866 2.872  0.613
20 C -3.168 0.253 4.974  -1.010
21 F 4.778 1.500 -5.012  -0.258
22 O 0.081 -3.466 -0.296  -0.090
23 P -0.015 -2.076 -1.065  0.803
24 H -3.455 1.202 -0.341  0.169
25 C 4.545 -2.868 1.972  -0.770
26 H -0.320 5.785 -0.993  0.440
27 C 5.195 -1.651 1.860  -1.069
28 H 6.275 -1.611 1.857  0.429
29 C -2.607 -0.742 4.185  -0.734
30 C -2.666 1.858 3.244  -0.783
31 H 1.801 -0.810 -3.517  0.115
32 H 5.009 0.460 1.661  0.483
33 H 2.472 2.919 1.441  0.345
34 H 1.361 -1.744 1.848  0.163
35 H -3.720 2.324 5.032  0.412
36 H -3.359 0.223 -1.823  0.174
37 N -1.651 -1.506 2.040  1.358
38 C 3.089 -0.349 -1.087  -0.317
39 C -0.484 4.732 0.868  -1.154
40 H 2.632 -3.838 2.080  0.498
41 H -2.594 -2.841 0.720  0.146
42 H 2.897 -1.211 -0.480  0.249
43 C 2.439 -1.718 1.876  0.837
44 H -3.592 -2.384 2.114  0.519
45 H 4.683 -1.197 -2.212  0.653
46 H -0.231 -5.863 0.758  0.289
47 C -1.190 1.348 -2.786  -0.994
48 H -0.176 5.576 1.471  0.449
49 H -0.260 -6.771 -0.754  0.449
50 N 2.312 0.729 -0.864  1.490
51 H 3.682 2.143 2.453  0.557
52 H 0.058 -4.617 -2.034  0.100
53 H 3.484 2.837 -3.184  0.579
54 C -0.784 3.527 1.490  -1.016
55 H -3.154 -2.097 -1.704  0.150
56 H 0.242 -1.599 -3.778  0.079
57 H 0.893 1.742 0.172  -0.531
58 C -1.008 -2.643 2.716  -1.338
59 O -1.157 -2.260 -2.179  -0.113
60 C 3.075 -0.486 1.744  -1.102
61 H 2.946 -3.043 -3.847  0.316
62 C 1.264 -1.759 -3.440  0.504
63 F 5.659 -0.340 -4.295  -0.263
64 C -2.874 -2.016 1.372  -1.011
65 C 4.070 -0.322 -2.061  -0.792
66 N -1.353 1.120 1.284  1.264
67 H -1.036 3.850 -2.339  0.446
68 C 3.156 -2.894 1.984  -0.851
69 C 0.322 -4.722 -0.979  -0.025
70 C 4.213 0.820 -2.831  0.367
71 H -3.820 -4.024 -3.157  0.470
72 H 1.373 -3.771 -4.198  0.327
73 C 1.351 0.919 2.835  -1.771
74 H 0.859 1.890 2.852  0.365
75 H -1.753 -3.278 3.206  0.555
76 C 5.260 0.881 -3.928  0.620
77 C 1.946 -2.845 -4.233  -1.670
78 C 1.344 0.757 0.290  -1.254
79 H -2.903 -2.837 -4.089  0.331
80 C -2.058 -0.440 2.951  -0.296
81 H 3.826 2.045 0.710  0.435
82 H -1.419 0.364 -3.201  -0.003
83 H -1.657 2.098 -3.440  0.427
84 C 4.466 -0.471 1.749  -0.280
85 H -2.617 -1.767 4.530  0.392
86 H 1.818 2.683 -1.341  0.452
87 C 2.469 1.860 -1.598  0.005
88 H -3.655 1.971 -1.934  0.345
........
## The molecular data stop here

You might see that one grandparent has a red, white and blue ribbon and the colours are fused together, that’s from the First World War.

A British war medal has orange, blue, white and dark blue on the ends. You sometimes see a little cluster of oak leaves, that’s called an MID. Mentioned In Dispatches.

Graeme ran through a range of different medals and explained what they meant. The group was most entertained when he described that the award of an OBE was said to stand for Other Buggers’ Efforts.

A large book on Victoria Crosses was on display and that was only to the end of World War I, so there’s a heck of a lot of them. The award was started by Queen Victoria and on the first presentation she gave out 111 of them in one day in Hyde Park.

The first one was to Charles Lucas, in 1914. There were some given out later that went back to the South Africa. If you look at the medals, the ribbon is the same, but there are two medals because Queen Victoria was the raining moniker at the time. Later when she died, King Edward came along so you’ll see two different faces on medals. One facing that way, one facing the other way. As with coins, each time the monarch changes they change which direction they face.

Misplaced calculated molecules >
+++
{
  "formula": "C40H52N4O6PS2",
  "method": "ωB97M-V/def2-TZVPD",
  "spin_multiplicity": 1,
  "homo_lumo_gap_ev": 6.43,
  "charge": 1,
  "elements": ["C", "C", "C", "C", "C", "C", "P", "O", "O", "O", "C", "N", "C", "O", "O", "C", "C", "C", "C", "S", "C", "S", "N", "C", "C", "C", "C", "C", "C", "C", "C", "C", "C", "C", "C", "O", "C", "C", "C", "C", "C", "C", "C", "H", "H", "H", "H", "H", "H", "H", "H", "H", "H", "H", "H", "H", "H", "H", "H", "H", "H", "H", "H", "H", "H", "H", "H", "H", "H", "H", "H", "H", "H", "H", "H", "H", "H", "H", "H", "H", "H", "H", "H", "H", "H", "N", "C", "C", "C", "C", "H", "H", "H", "H", "H", "N", "C", "C", "C", "C", "H", "H", "H", "H", "H"],
+++

Only three people have won more than one Victoria Cross. Two were British and one was a New Zealander named Captain Charles Upton and he won them in World War II.

There is one woman who has a Victoria Cross, but it’s not an ordinary one, it’s a gold one. And it was specially minted for her, she was the nurse and she looked after the soldiers in the Indian Mutinies that had cholera and typhoid and nursed them through and her commanding officer of the day was a fellow boy named a Sir Samuel Brown.

When a person has a VC, and they walk past a commissioned officer, that officer salutes them first to show respect for the medal. You’ll even see sometimes when the VC is presented the medal, the officer will salute the recipient first. It’s held in very, very high esteem.

Our thanks to Graeme, VK3CDO, for a fascinating talk.